Thursday, April 19, 2007

It is time to teach our children to fight back!

I don't know what it was like in those classrooms at Virginia Tech. Perhaps there was no opportunity to jump the shooter and put a stop to the slaughter. Perhaps the victims were frozen in shock, unable to act (I suspect that might have been my reaction.) But our society is getting meaner. Yes, mass killings are rare, but they are always a possibility (especially when our media gives so much coverage to a killer like the one at VT - copycats see their opportunity for immortality.) More common are average assaults, where more often than it used to be, the assailant just kills the victim, even if he or she cooperates. Our children need to know it is ok to fight back.

This is a hard read in light of what has happened this week, but we parents need to hear it:

A Culture of Passivity

"Protecting" our "children" at Virginia Tech.

By Mark Steyn

I haven’t weighed in yet on Virginia Tech — mainly because, in a saner world, it would not be the kind of incident one needed to have a partisan opinion on. But I was giving a couple of speeches in Minnesota yesterday and I was asked about it and found myself more and more disturbed by the tone of the coverage. I’m not sure I’m ready to go the full Derb but I think he’s closer to the reality of the situation than most. On Monday night, Geraldo was all over Fox News saying we have to accept that, in this horrible world we live in, our “children” need to be “protected.”

Point one: They’re not “children.” The students at Virginia Tech were grown women and — if you’ll forgive the expression — men. They would be regarded as adults by any other society in the history of our planet. Granted, we live in a selectively infantilized culture where twentysomethings are “children” if they’re serving in the Third Infantry Division in Ramadi but grown-ups making rational choices if they drop to the broadloom in President Clinton’s Oval Office. Nonetheless, it’s deeply damaging to portray fit fully formed adults as children who need to be protected. We should be raising them to understand that there will be moments in life when you need to protect yourself — and, in a “horrible” world, there may come moments when you have to choose between protecting yourself or others. It is a poor reflection on us that, in those first critical seconds where one has to make a decision, only an elderly Holocaust survivor, Professor Librescu, understood instinctively the obligation to act.

Click on the title to read the rest...if you can.


Tennessee gets it.

TN moves to allow guns in public buildings

By News Sentinel staff April 18, 2007

NASHVILLE — In a surprise move, a House panel voted today to repeal a state law that forbids the carrying of handguns on property and buildings owned by state, county and city governments — including parks and playgrounds.

"I think the recent Virginia disaster — or catastrophe or nightmare or whatever you want to call it — has woken up a lot of people to the need for having guns available to law-abiding citizens," said Rep. Frank Niceley, R-Strawberry Plains. "I hope that is what this vote reflects."

Wednesday, April 18, 2007

Gun control is not the answer.

This record from the Materials Project describes crystalline Li4FeP2O9 at its relaxed geometry. The functional is PBE with a Hubbard U.

a = 12.7462 Å, b = 7.1851 Å, c = 19.4449 Å
α = 90.00°, β = 97.05°, γ = 90.00°
Closest atoms and distances in Å follow each position.
Positions (direct):
O: 0.1950 0.3323 0.9081  1 P 1.54
O: 0.2740 0.2726 0.0317  1 P 1.57
P: 0.1005 0.8031 0.8344  4 O 1.54-1.58
Li: 0.8963 0.0138 0.7984  4 O 2.14-2.36
O: 0.8069 0.3606 0.3579  2 Fe 1.86-1.88
P: 0.3052 0.2755 0.7413  4 O 1.53-1.57
Li: 0.3004 0.9666 0.6428  3 O 2.09-2.28
O: 0.5188 0.2591 0.0514  1 P 1.58
P: 0.6948 0.2755 0.7587  4 O 1.53-1.57
Li: 0.1030 0.2089 0.0612  3 O 1.91-2.13
Li: 0.5000 0.4172 0.2500  6 O 2.16-2.41
Fe: 0.2986 0.4798 0.0986  6 O 1.87-2.08
Fe: 0.8993 0.4638 0.3013  6 O 1.86-2.08
P: 0.8995 0.8031 0.6656  4 O 1.54-1.58
O: 0.3996 0.6010 0.0527  2 Fe 1.87-1.88, 1 Li 2.09
O: 0.7260 0.2726 0.4683  1 P 1.57
Li: 0.9051 0.5201 0.5505  4 O 2.08-2.31
P: 0.2926 0.7439 0.4535  4 O 1.54-1.58
O: 0.1878 0.3568 0.5382  1 P 1.58
O: 0.8613 0.9579 0.4142  1 P 1.54
O: 0.4812 0.2591 0.4486  1 P 1.58
O: 0.5459 0.9994 0.8826  1 P 1.54
Li: 0.0949 0.4799 0.4495  4 O 2.08-2.31
O: 0.0000 0.7294 0.0155  1 P 1.53
Li: 0.6997 0.0463 0.1631  4 O 1.93-2.15
O: 0.8069 0.6394 0.8579  2 Fe 1.86-1.88
O: 0.5972 0.3272 0.7085  1 P 1.53
O: 0.0000 0.7294 0.4845  1 P 1.53
O: 0.0000 0.2706 0.9845  1 P 1.53
Fe: 0.1007 0.4638 0.1987  6 O 1.86-2.08
Li: 0.1037 0.9862 0.2016  4 O 2.14-2.36
Li: 0.9051 0.4799 0.0505  4 O 2.08-2.31
O: 0.6004 0.6010 0.4473  2 Fe 1.87-1.88, 1 Li 2.09
O: 0.8613 0.0421 0.9142  1 P 1.54
O: 0.7864 0.5970 0.2380  1 P 1.57
Li: 0.5131 0.7419 0.3651  3 O 1.93-2.09
P: 0.4963 0.7987 0.6264  4 O 1.53-1.58
O: 0.6728 0.3135 0.8351  1 P 1.57
Fe: 0.7014 0.5202 0.9014  6 O 1.87-2.08
O: 0.6004 0.3990 0.9473  2 Fe 1.87-1.88, 1 Li 2.09
Li: 0.9084 0.7273 0.1690  3 O 1.92-2.14
O: 0.8850 0.7554 0.7432  1 P 1.58
O: 0.4028 0.6728 0.2915  1 P 1.53
O: 0.7312 0.0701 0.7580  1 P 1.55
Li: 0.8963 0.9862 0.2984  4 O 2.14-2.36
O: 0.1878 0.6432 0.0382  1 P 1.58
Li: 0.5000 0.0000 0.0000  2 O 2.11
O: 0.5188 0.7409 0.5514  1 P 1.58
O: 0.0635 0.9932 0.3280  1 P 1.54
P: 0.3052 0.7245 0.2413  4 O 1.53-1.57
O: 0.4541 0.0006 0.1174  1 P 1.54
Li: 0.8970 0.7911 0.9388  3 O 1.91-2.13
Li: 0.0916 0.2727 0.8310  3 O 1.92-2.14
O: 0.1931 0.3606 0.1421  2 Fe 1.86-1.88
Fe: 0.2986 0.5202 0.5986  6 O 1.87-2.08
P: 0.7074 0.2561 0.5465  4 O 1.54-1.58
Li: 0.0949 0.5201 0.9495  4 O 2.08-2.31
Li: 0.4869 0.7419 0.1349  3 O 1.93-2.09
Fe: 0.8993 0.5362 0.8013  6 O 1.86-2.08
O: 0.4541 0.9994 0.6174  1 P 1.54
O: 0.4028 0.3272 0.7915  1 P 1.53
Fe: 0.7014 0.4798 0.4014  6 O 1.87-2.08
Li: 0.0916 0.7273 0.3310  3 O 1.92-2.14
P: 0.0982 0.7594 0.0681  4 O 1.53-1.58
O: 0.5906 0.6754 0.8451  1 P 1.57
O: 0.7312 0.9299 0.2580  1 P 1.55
O: 0.6143 0.3862 0.5645  1 P 1.58
O: 0.3996 0.3990 0.5527  2 Fe 1.87-1.88, 1 Li 2.09
O: 0.6728 0.6865 0.3351  1 P 1.57
O: 0.6143 0.6138 0.0645  1 P 1.58
Fe: 0.5000 0.5000 0.0000  6 O 1.88-2.00
• Here the text continues:

We already have gun control. Guns were banned on the Virginia Tech campus. That guaranteed that the good guys were unarmed and that the bad guy could kill people. Lots of people. Here is an excellent article - from a Canadian, no less!

Virginia Tech by Pierre Lemieux
Polytechnique (Québec), Dunblane (United Kingdom), Jonesboro (Arkansas), Columbine (Colorado), Nickel Mines (Pennsylvania), Dawson College (Québec), Virginia Tech (Blacksburg) today – what do these and several other mass killings of students and children have in common? The answer is not obvious.

What is obvious, though, is at least one factor they don’t have in common: the liberty to keep and bear arms. We have to look at the phenomenon with some time perspective. Mass killings were rare when guns were easily available, while they have been increasing as guns have become more controlled. In the early 20th century, guns were easily available to common people in all civilized countries; in many cases, individuals could freely carry them concealed. These countries included England, Canada, many parts of the U.S., and France. In fact, before the 60s, mass killings were rare.

Dunblane occurred in a society where, after seven decades on increasing gun controls, it was very difficult for a simple citizen to own guns, especially handguns, and illegal to carry them virtually anywhere. Similarly, Dawson occurred after 15 years of galloping gun control, to the point where, in Canada, it is even illegal to bear arms on your own property. Even in the U.S., which has been leading the way in the horror stories, federal gun controls have increased nearly continuously since the 1960s, and none of the massacres was committed by people who were legally allowed to have guns where there. In fact, these killings typically occur in gun-free zones.

In Blacksburg today, the tragic spectacle of tens, if not hundreds, of heavily armed policemen, with at least one armoured vehicle, all powerless to prevent a single gunman from killing and maiming more than 30 people reminds us of a dire fact: it is impossible to be totally protected against madmen, except by turning society into a convent or a jail.

One question needs to be asked, though. What if a student or a professor had been armed today at Virginia Tech? This possibility was very remote since guns are illegal on the Virginia Tech campus, and non-criminals usually try not to become criminals. At Dawson, what if the security guard who, we are told, helped some students flee and was not far from the killer had been armed? In all these tragic events, how many students wished, before dying, that they had a gun?

I am not claiming that the freedom of non-criminals to carry guns would be a panacea. Obviously, when you live in a society where madmen are intent on massacring defenceless students, including young women, there is no panacea. Yet, there must a reason why these madmen don’t go to, say, the University of Utah, where people licensed to carry guns can freely bring them on campus and in university buildings. There might be a reason why the Dawson killer, who had a car and apparently no special reason to target that specific college, did not go instead to the National Police School, about 150 kilometres from Montreal. I was there once: all students are armed.

Given this momentous phenomenon of senseless mass killings of young people, something other than the low probability of being stopped before doing much damage must be at play.

Economists don’t like to think in terms of changes in preferences: after all, there is no reason to believe that mankind is intrinsically different today than it was fifty years ago. However, economists know that choices, for good or evil, are made not only on the basis of individual preferences, but also given the constraints imposed on these preferences by the social environment.

Some decades ago, most people, including unruly youths and, I would guess, even some criminals, were under certain moral constraints that they were ashamed to break. Although this is banal to say, it remains true that these moral constraints have crumbled, to be replaced by the naked force of the state. Individuals have become entitled dependents of a state that defines morality for them, besides providing for their happiness.

Another, perhaps related, hypothesis is the demise of culture. By culture, I simply mean what Marc Fumaroli (in L’État culturel, Paris, 1991) called “la culture cultivée” (learned culture): the knowledge of, and the joy of learning through, the intellectual and artistic adventure of mankind. With culture generally comes the love of life and the good things in life: wine, fine food, sex, smoking... The young illiterates who now come out of public schools seem just ripe for a nasty, brutish, and short life.

There have always been madmen who, in order to leave the only mark they could leave on history, waged destruction. Erostrates, who, in the 6th century B.C., and precisely for this reason, burned the temple of Artemis in Grece comes to mind. I wonder, though, if he would have killed schoolchildren or young women even if he had had the power to.

If I try to avoid wishful thinking and ignore what I have been fighting against for decades (and still am), my prediction is not very optimistic. Gun control and people control will grow. Individuals will become more and more infantilized. But except if the state grows from soft to hard totalitarianism, uncultured madmen will proliferate. (If hard totalitarianism comes, these uncultured madmen will man the state.) Senseless mass killings will become a permanent fixture and, after guns are outlawed, they will be committed with cars, light planes, bombs, fire, etc. And each time, the clamour will mount for more control, perhaps focused on scapegoat minorities.

Click on the title!

The entry is interrupted by crystal structures:
- - -
The following is a r²SCAN calculation of crystalline MoSeS at its relaxed geometry, from the Materials Project database.

a b c (Å): 3.2502 3.2502 35.5085
angles (deg): 90.00 90.00 120.00
Fractional positions:
1 Mo 0.3333 0.6667 0.0938
2 Mo 0.3333 0.6667 0.7185
3 Mo 0.6667 0.3333 0.2815
4 Mo 0.6667 0.3333 0.9062
5 Se 0.3333 0.6667 0.2342
6 Se 0.3333 0.6667 0.3288
7 Se 0.6667 0.3333 0.6712
8 Se 0.6667 0.3333 0.7658
9 S 0.3333 0.6667 0.8631
10 S 0.3333 0.6667 0.9493
11 S 0.6667 0.3333 0.0507
12 S 0.6667 0.3333 0.1369

Values from the calculation:
**Space group**: P-3m1
**Offset from the most stable computed form**: 4 meV per atom

---

The following is a r²SCAN calculation of crystalline Mo3Se2S4 at its relaxed geometry, from the Materials Project database.

a b c (Å): 3.2265 3.2265 28.5031
angles (deg): 90.00 90.00 120.00
Fractional positions:
1 Mo 0.0000 0.0000 0.0000
2 Mo 0.0000 0.0000 0.4620
3 Mo 0.3333 0.6667 0.2300
4 Se 0.3333 0.6667 0.4028
5 Se 0.3333 0.6667 0.5211
6 S 0.0000 0.0000 0.1760
7 S 0.0000 0.0000 0.2840
8 S 0.3333 0.6667 0.0540
9 S 0.3333 0.6667 0.9460

Values from the calculation:
**Space group**: P3m1

---

The following is a r²SCAN calculation of crystalline Mo2Se3S at its relaxed geometry, from the Materials Project database.

a b c (Å): 3.2847 3.2847 36.1954
angles (deg): 90.00 90.00 120.00
Fractional positions:
1 Mo 0.0000 0.0000 0.0000
2 Mo 0.0000 0.0000 0.3747
3 Mo 0.3333 0.6667 0.1869
4 Mo 0.3333 0.6667 0.5629
5 Se 0.0000 0.0000 0.1408
6 Se 0.0000 0.0000 0.2330
7 Se 0.0000 0.0000 0.5169
8 Se 0.0000 0.0000 0.6089
9 Se 0.3333 0.6667 0.3286
10 Se 0.3333 0.6667 0.4207
11 S 0.3333 0.6667 0.0421
12 S 0.3333 0.6667 0.9580

Values from the calculation:
**Space group**: P3m1

---

The following is a r²SCAN calculation of crystalline MoSeS at its relaxed geometry, from the Materials Project database.

a b c (Å): 3.2525 3.2525 13.6173
angles (deg): 90.00 90.00 120.00
Fractional positions:
1 Mo 0.0000 0.0000 0.2409
2 Mo 0.0000 0.0000 0.7591
3 Se 0.3333 0.6667 0.6351
4 Se 0.6667 0.3333 0.3649
5 S 0.3333 0.6667 0.8706
6 S 0.6667 0.3333 0.1294

Values from the calculation:
**Space group**: P-3m1
**Offset from the most stable computed form**: 0 meV per atom

---

The following is a r²SCAN calculation of crystalline MoSeS at its relaxed geometry, from the Materials Project database.

a b c (Å): 3.2500 3.2500 35.8621
angles (deg): 90.00 90.00 120.00
Fractional positions:
1 Mo 0.3333 0.6667 0.0946
2 Mo 0.3333 0.6667 0.7187
3 Mo 0.6667 0.3333 0.2813
4 Mo 0.6667 0.3333 0.9054
5 Se 0.3333 0.6667 0.8586
6 Se 0.3333 0.6667 0.9522
7 Se 0.6667 0.3333 0.0478
8 Se 0.6667 0.3333 0.1414
9 S 0.3333 0.6667 0.2386
10 S 0.3333 0.6667 0.3240
11 S 0.6667 0.3333 0.6760
12 S 0.6667 0.3333 0.7614

Values from the calculation:
**Space group**: P-3m1
**Offset from the most stable computed form**: 4 meV per atom

---

The following is a r²SCAN calculation of crystalline MoSeS at its relaxed geometry, from the Materials Project database.
- - -

Monday, April 16, 2007

[Data records, as found in the file]
____________
No. 1
A relaxed structure of HfAl3, computed with PBE.

Structure (extended XYZ):
```
4
Lattice="-0.810 1.037 3.876 -3.970 0.371 -0.929 -0.587 -3.943 0.932" Properties=species:S:1:pos:R:3 pbc="T T T"
Al -2.278 -1.786 0.002
Hf 0.000 0.000 0.000
Al -0.698 -1.453 2.404
Al -2.390 0.704 1.474
```

Values from the calculation:
DFT total energy: -5.671 eV per atom
E_form: -372.1 meV/atom
V: 17.1 Å³ per atom

***

No. 2
A relaxed structure of HfAl3, computed with PBE.

Structure (extended XYZ):
```
8
Lattice="-1.999 1.999 8.609 1.999 -1.999 8.609 1.999 1.999 -8.609" Properties=species:S:1:pos:R:3 pbc="T T T"
Al 0.000 1.999 4.304
Al 0.000 0.000 6.448
Al 0.000 1.999 0.000
Al 0.000 0.000 10.770
Al 1.999 0.000 0.000
Hf 0.000 0.000 2.062
Hf 0.000 0.000 15.156
Al 1.999 0.000 4.304
```

Values from the calculation:
DFT total energy: -5.694 eV per atom
E_form: -395.3 meV/atom
V: 17.2 Å³ per atom

***

No. 3
A relaxed structure of HfAlIr2, computed with PBE.

Structure (extended XYZ):
```
4
Lattice="0.000 3.172 3.172 3.172 0.000 3.172 3.172 3.172 0.000" Properties=species:S:1:pos:R:3 pbc="T T T"
Ir 1.586 1.586 1.586
Hf 0.000 0.000 0.000
Ir 4.758 4.758 4.758
Al 3.172 3.172 3.172
```

Values from the calculation:
DFT total energy: -8.771 eV per atom
E_form: -925.6 meV/atom
V: 16.0 Å³ per atom

***

No. 4
A relaxed structure of HfMg6Al, computed with PBE.

Structure (extended XYZ):
```
16
Lattice="5.026 0.000 0.000 0.000 6.088 0.000 0.000 0.000 11.178" Properties=species:S:1:pos:R:3 pbc="T T T"
Mg 0.000 0.000 3.672
Mg 0.000 3.044 9.261
Mg 2.513 4.571 10.272
Hf 2.513 3.044 1.914
Mg 0.000 3.044 3.687
Al 2.513 3.044 7.452
Mg 0.000 0.000 9.275
Al 2.513 0.000 1.863
Mg 0.000 4.579 6.516
Mg 0.000 1.510 6.516
Mg 0.000 4.554 0.927
Hf 2.513 0.000 7.503
Mg 2.513 1.527 4.683
Mg 2.513 1.517 10.272
Mg 0.000 1.534 0.927
Mg 2.513 4.562 4.683
```

Values from the calculation:
DFT total energy: -2.859 eV per atom
E_form: 54.0 meV/atom
V: 21.4 Å³ per atom
Energy above the lowest structure with this stoichiometry: 0 meV/atom

***

No. 5
A relaxed structure of HfMg6Al, computed with PBE.

Structure (extended XYZ):
```
16
Lattice="-3.928 -0.696 2.891 -2.446 -4.020 -4.290 5.119 -8.382 4.937" Properties=species:S:1:pos:R:3 pbc="T T T"
Al 4.210 -6.895 4.061
Mg 3.040 -8.991 1.966
Mg 0.892 -11.073 2.745
Mg -1.650 -6.854 0.306
Mg 2.132 -9.035 4.920
Mg 1.704 -2.790 1.643
Hf 1.489 -6.002 4.775
Mg 2.381 -5.893 1.816
Mg -1.113 -1.742 2.267
Al 0.428 -4.714 -0.553
Mg -0.186 -1.714 -0.665
Hf -2.294 -3.821 0.162
Mg 1.150 -7.915 -0.342
Mg -0.444 -4.871 2.422
Mg -1.402 -3.712 -2.798
Mg 0.224 -7.944 2.590
```

Values from the calculation:
DFT total energy: -2.857 eV per atom
E_form: 56.4 meV/atom
V: 21.6 Å³ per atom
Energy above the lowest structure with this stoichiometry: 2 meV/atom

***

No. 6
A relaxed structure of HfAlMo, computed with PBE.

Structure (extended XYZ):
```
12
Lattice="-2.076 3.851 3.018 -2.458 -1.552 -4.449 -4.474 -5.987 4.561" Properties=species:S:1:pos:R:3 pbc="T T T"
____________

I can't talk about this yet.

A prayer for those affected by the school massacre today. (Thanks, lightman. It really spoke to my heart.)

“Watch, dear Lord,
with those who wake, or watch, or weep,
and give your angels charge over those who sleep.
Keep the sick,
rest the weary,bless the dying,
soothe the suffering,
pity the afflicted,
shield the joyous,
and all for your love’s sake.”

I'll complain tomorrow about making schools, particularly those attended by responsible adults, victim disarmament zones.
